Given
********
# 1
The following is a simulated XRD peak list of Ca3CuHg2. It was derived from a crystal structure in Alexandria, relaxed with GGA-PBE, using Cu Kα (λ = 1.5418 Å).

Largest 12 diffraction maxima, sorted by position, 10° ≤ 2θ ≤ 80°:
| d_spacing | intensity |
| --- | --- |
| 7.942 | 16 |
| 5.052 | 10 |
| 3.756 | 40 |
| 3.681 | 19 |
| 2.664 | 26 |
| 2.647 | 25 |
| 2.629 | 100 |
| 1.878 | 18 |
| 1.674 | 14 |
| 1.531 | 19 |
| 1.525 | 20 |
| 1.314 | 11 |

Atomic structure:
Unit cell a=8.3774 b=8.3774 c=3.6812 alpha=90.00 beta=90.00 gamma=142.91
Atoms (fractional coordinates):
Ca1 0.0000 0.0000 0.0000
Ca2 0.3407 0.6593 0.0000
Ca3 0.6593 0.3407 0.0000
Cu1 0.5000 0.5000 0.5000
Hg1 0.1688 0.8312 0.5000
Hg2 0.8312 0.1688 0.5000

---

# 2
The following is a simulated XRD peak list of Nd2Si4Rh3. It was derived from a crystal structure in Alexandria, relaxed with GGA-PBE, using Cu Kα (λ = 1.5418 Å).

Largest 12 diffraction maxima, sorted by position, 10° ≤ 2θ ≤ 80°:
| d_spacing | intensity |
| --- | --- |
| 5.950 | 73 |
| 3.061 | 96 |
| 2.544 | 36 |
| 2.455 | 51 |
| 2.405 | 78 |
| 2.296 | 100 |
| 2.230 | 42 |
| 2.133 | 23 |
| 2.023 | 35 |
| 1.487 | 34 |
| 1.408 | 25 |
| 1.265 | 23 |

Atomic structure:
Unit cell a=7.7143 b=6.5589 c=5.6319 alpha=78.11 beta=56.30 gamma=45.59
Atoms (fractional coordinates):
Nd1 0.1357 0.1357 0.8643
Nd2 0.8643 0.8643 0.1357
Si1 0.1597 0.5237 0.4763
Si2 0.4763 0.8403 0.1597
Si3 0.5237 0.1597 0.8403
Si4 0.8403 0.4763 0.5237
Rh1 0.0000 0.0000 0.5000
Rh2 0.5000 0.5000 0.0000
Rh3 0.5000 0.5000 0.5000

---

# 3
The following is a simulated XRD peak list of NdSi2IrRh. It was derived from a crystal structure in Alexandria, relaxed with GGA-PBE, using Cu Kα (λ = 1.5418 Å).

Largest 12 diffraction maxima, sorted by position, 10° ≤ 2θ ≤ 80°:
| d_spacing | intensity |
| --- | --- |
| 5.098 | 17 |
| 3.813 | 26 |
| 2.620 | 24 |
| 2.549 | 19 |
| 2.526 | 100 |
| 2.056 | 35 |
| 1.917 | 10 |
| 1.617 | 11 |
| 1.600 | 19 |
| 1.467 | 19 |
| 1.454 | 11 |
| 1.260 | 22 |

Atomic structure:
Unit cell a=5.8693 b=5.8693 c=5.8693 alpha=138.99 beta=138.99 gamma=59.39
Atoms (fractional coordinates):
Nd1 0.0000 0.0000 0.0000
Si1 0.3754 0.3754 0.0000
Si2 0.6246 0.6246 0.0000
Ir1 0.2500 0.7500 0.5000
Rh1 0.7500 0.2500 0.5000

----------

Entry 1:
The following is a computed powder diffraction line list of CeSe2. It was derived from a crystal structure in the Materials Project, relaxed with GGA-PBE, using Cu Ka.
No peak broadening, texture or thermal motion is included.

Structural model:
a = 18.4724 Å, b = 18.4724 Å, c = 18.4724 Å
α = 99.81°, β = 99.81°, γ = 131.24°
Atoms (fractional coordinates):
Ce1 0.0652 0.9263 0.3416
Ce2 0.0737 0.4153 0.1389
Ce3 0.0847 0.4263 0.8611
Ce4 0.2236 0.0847 0.6584
Ce5 0.2764 0.9348 0.8611
Ce6 0.4153 0.2764 0.3416
Ce7 0.4263 0.5652 0.3416
Ce8 0.4348 0.7764 0.8611
Ce9 0.5652 0.2236 0.1389
Ce10 0.5737 0.4348 0.6584
Ce11 0.5847 0.7236 0.6584
Ce12 0.7236 0.0652 0.1389
Ce13 0.7764 0.9153 0.3416
Ce14 0.9153 0.5737 0.1389
Ce15 0.9263 0.5847 0.8611
Ce16 0.9348 0.0737 0.6584
Se1 0.0149 0.7500 0.2649
Se2 0.0353 0.5353 0.1618
Se3 0.0870 0.7796 0.8666
Se4 0.1040 0.1040 0.7079
Se5 0.1040 0.3960 0.0000
Se6 0.1266 0.9647 0.5000
Se7 0.2204 0.0870 0.3073
Se8 0.2500 0.5149 0.2649
Se9 0.2500 0.9851 0.7351
Se10 0.2796 0.5870 0.8666
Se11 0.3734 0.8734 0.8382
Se12 0.3960 0.1040 0.0000
Se13 0.3960 0.3960 0.2921
Se14 0.4130 0.2796 0.6927
Se15 0.4647 0.6266 0.5000
Se16 0.4851 0.7500 0.7351
Se17 0.5149 0.2500 0.2649
Se18 0.5353 0.3734 0.5000
Se19 0.5870 0.7204 0.3073
Se20 0.6040 0.6040 0.7079
Se21 0.6040 0.8960 0.0000
Se22 0.6266 0.1266 0.1618
Se23 0.7204 0.4130 0.1334
Se24 0.7500 0.0149 0.2649
Se25 0.7500 0.4851 0.7351
Se26 0.7796 0.9130 0.6927
Se27 0.8734 0.0353 0.5000
Se28 0.8960 0.6040 0.0000
Se29 0.8960 0.8960 0.2921
Se30 0.9130 0.2204 0.1334
Se31 0.9647 0.4647 0.8382
Se32 0.9851 0.2500 0.7351

Top 8 peaks for 2θ from 10° to 90°, by angle:
two_theta, I (rel.)
10.1, 100
10.5, 64
11.6, 91
14.6, 57
16.7, 84
19.4, 46
26.5, 26
32.3, 26
********
Request
Please retype all of the notes further above verbatim.
Reply
# 1
The following is a simulated XRD peak list of Ca3CuHg2. It was derived from a crystal structure in Alexandria, relaxed with GGA-PBE, using Cu Kα (λ = 1.5418 Å).

Largest 12 diffraction maxima, sorted by position, 10° ≤ 2θ ≤ 80°:
| d_spacing | intensity |
| --- | --- |
| 7.942 | 16 |
| 5.052 | 10 |
| 3.756 | 40 |
| 3.681 | 19 |
| 2.664 | 26 |
| 2.647 | 25 |
| 2.629 | 100 |
| 1.878 | 18 |
| 1.674 | 14 |
| 1.531 | 19 |
| 1.525 | 20 |
| 1.314 | 11 |

Atomic structure:
Unit cell a=8.3774 b=8.3774 c=3.6812 alpha=90.00 beta=90.00 gamma=142.91
Atoms (fractional coordinates):
Ca1 0.0000 0.0000 0.0000
Ca2 0.3407 0.6593 0.0000
Ca3 0.6593 0.3407 0.0000
Cu1 0.5000 0.5000 0.5000
Hg1 0.1688 0.8312 0.5000
Hg2 0.8312 0.1688 0.5000

---

# 2
The following is a simulated XRD peak list of Nd2Si4Rh3. It was derived from a crystal structure in Alexandria, relaxed with GGA-PBE, using Cu Kα (λ = 1.5418 Å).

Largest 12 diffraction maxima, sorted by position, 10° ≤ 2θ ≤ 80°:
| d_spacing | intensity |
| --- | --- |
| 5.950 | 73 |
| 3.061 | 96 |
| 2.544 | 36 |
| 2.455 | 51 |
| 2.405 | 78 |
| 2.296 | 100 |
| 2.230 | 42 |
| 2.133 | 23 |
| 2.023 | 35 |
| 1.487 | 34 |
| 1.408 | 25 |
| 1.265 | 23 |

Atomic structure:
Unit cell a=7.7143 b=6.5589 c=5.6319 alpha=78.11 beta=56.30 gamma=45.59
Atoms (fractional coordinates):
Nd1 0.1357 0.1357 0.8643
Nd2 0.8643 0.8643 0.1357
Si1 0.1597 0.5237 0.4763
Si2 0.4763 0.8403 0.1597
Si3 0.5237 0.1597 0.8403
Si4 0.8403 0.4763 0.5237
Rh1 0.0000 0.0000 0.5000
Rh2 0.5000 0.5000 0.0000
Rh3 0.5000 0.5000 0.5000

---

# 3
The following is a simulated XRD peak list of NdSi2IrRh. It was derived from a crystal structure in Alexandria, relaxed with GGA-PBE, using Cu Kα (λ = 1.5418 Å).

Largest 12 diffraction maxima, sorted by position, 10° ≤ 2θ ≤ 80°:
| d_spacing | intensity |
| --- | --- |
| 5.098 | 17 |
| 3.813 | 26 |
| 2.620 | 24 |
| 2.549 | 19 |
| 2.526 | 100 |
| 2.056 | 35 |
| 1.917 | 10 |
| 1.617 | 11 |
| 1.600 | 19 |
| 1.467 | 19 |
| 1.454 | 11 |
| 1.260 | 22 |

Atomic structure:
Unit cell a=5.8693 b=5.8693 c=5.8693 alpha=138.99 beta=138.99 gamma=59.39
Atoms (fractional coordinates):
Nd1 0.0000 0.0000 0.0000
Si1 0.3754 0.3754 0.0000
Si2 0.6246 0.6246 0.0000
Ir1 0.2500 0.7500 0.5000
Rh1 0.7500 0.2500 0.5000

----------

Entry 1:
The following is a computed powder diffraction line list of CeSe2. It was derived from a crystal structure in the Materials Project, relaxed with GGA-PBE, using Cu Ka.
No peak broadening, texture or thermal motion is included.

Structural model:
a = 18.4724 Å, b = 18.4724 Å, c = 18.4724 Å
α = 99.81°, β = 99.81°, γ = 131.24°
Atoms (fractional coordinates):
Ce1 0.0652 0.9263 0.3416
Ce2 0.0737 0.4153 0.1389
Ce3 0.0847 0.4263 0.8611
Ce4 0.2236 0.0847 0.6584
Ce5 0.2764 0.9348 0.8611
Ce6 0.4153 0.2764 0.3416
Ce7 0.4263 0.5652 0.3416
Ce8 0.4348 0.7764 0.8611
Ce9 0.5652 0.2236 0.1389
Ce10 0.5737 0.4348 0.6584
Ce11 0.5847 0.7236 0.6584
Ce12 0.7236 0.0652 0.1389
Ce13 0.7764 0.9153 0.3416
Ce14 0.9153 0.5737 0.1389
Ce15 0.9263 0.5847 0.8611
Ce16 0.9348 0.0737 0.6584
Se1 0.0149 0.7500 0.2649
Se2 0.0353 0.5353 0.1618
Se3 0.0870 0.7796 0.8666
Se4 0.1040 0.1040 0.7079
Se5 0.1040 0.3960 0.0000
Se6 0.1266 0.9647 0.5000
Se7 0.2204 0.0870 0.3073
Se8 0.2500 0.5149 0.2649
Se9 0.2500 0.9851 0.7351
Se10 0.2796 0.5870 0.8666
Se11 0.3734 0.8734 0.8382
Se12 0.3960 0.1040 0.0000
Se13 0.3960 0.3960 0.2921
Se14 0.4130 0.2796 0.6927
Se15 0.4647 0.6266 0.5000
Se16 0.4851 0.7500 0.7351
Se17 0.5149 0.2500 0.2649
Se18 0.5353 0.3734 0.5000
Se19 0.5870 0.7204 0.3073
Se20 0.6040 0.6040 0.7079
Se21 0.6040 0.8960 0.0000
Se22 0.6266 0.1266 0.1618
Se23 0.7204 0.4130 0.1334
Se24 0.7500 0.0149 0.2649
Se25 0.7500 0.4851 0.7351
Se26 0.7796 0.9130 0.6927
Se27 0.8734 0.0353 0.5000
Se28 0.8960 0.6040 0.0000
Se29 0.8960 0.8960 0.2921
Se30 0.9130 0.2204 0.1334
Se31 0.9647 0.4647 0.8382
Se32 0.9851 0.2500 0.7351

Top 8 peaks for 2θ from 10° to 90°, by angle:
two_theta, I (rel.)
10.1, 100
10.5, 64
11.6, 91
14.6, 57
16.7, 84
19.4, 46
26.5, 26
32.3, 26